(What to do)
Next, give back all of the lines further below word for word.

(File)
/*
No. 1
DFT (meta-GGA r2SCAN) results for crystalline Sn3P2O8 at its relaxed geometry.

Unit cell a=11.111 b=4.846 c=16.414 alpha=90.00 beta=93.86 gamma=90.00
Space group P2_1/c (No. 14)
Symmetry-distinct sites (fractional):
Sn (0.021, 0.219, 0.363) x4
Sn (0.300, 0.744, 0.785) x4
Sn (0.355, 0.128, 0.538) x4
P (0.148, 0.693, 0.474) x4
P (0.478, 0.211, 0.852) x4
O (0.050, 0.675, 0.916) x4
O (0.125, 0.736, 0.564) x4
O (0.150, 0.118, 0.953) x4
O (0.274, 0.686, 0.960) x4
O (0.371, 0.158, 0.302) x4
O (0.400, 0.714, 0.179) x4
O (0.456, 0.602, 0.352) x4
O (0.486, 0.177, 0.441) x4

Summary:
M_tot in μB/cell: 0.00
Energy in eV/cell: -664.8

No. 2
DFT (meta-GGA r2SCAN) results for crystalline HoMg2Cu9 at its relaxed geometry.

Unit cell a=4.9438 b=4.9438 c=16.0527 alpha=90.00 beta=90.00 gamma=120.00
Space group P6_3/mmc (No. 194)
Symmetry-distinct sites (fractional):
Ho (0.3333, 0.6667, 0.2500) x2
Mg (0.3333, 0.6667, 0.0323) x4
Cu (0.0000, 0.0000, 0.0000) x2
Cu (0.0000, 0.0000, 0.2500) x2
Cu (0.1678, 0.3356, 0.6234) x12
Cu (0.3333, 0.6667, 0.7500) x2

Summary:
M_tot in μB/cell: 0.00
Energy in eV/cell: -281.8

No. 3
DFT (meta-GGA r2SCAN) results for crystalline CdPd3 at its relaxed geometry.

Unit cell a=4.008 b=4.008 c=7.957 alpha=90.00 beta=90.00 gamma=90.00
Space group I4/mmm (No. 139)
Symmetry-distinct sites (fractional):
Cd (0.000, 0.000, 0.000) x2
Pd (0.000, 0.000, 0.500) x2
Pd (0.000, 0.500, 0.250) x4

Summary:
M_tot in μB/cell: 0.00
Energy in eV/cell: -180.2

No. 4
DFT (meta-GGA r2SCAN) results for crystalline YbFeSi at its relaxed geometry.

Unit cell a=4.005 b=4.005 c=6.233 alpha=90.00 beta=90.00 gamma=90.00
Space group P4/nmm (No. 129, origin choice 2)
Symmetry-distinct sites (fractional):
Yb (0.250, 0.250, 0.189) x2
Fe (0.250, 0.750, 0.500) x2
Si (0.250, 0.250, 0.685) x2

Summary:
M_tot in μB/cell: 0.00
Energy in eV/cell: -122.7

No. 5
DFT (meta-GGA r2SCAN) results for crystalline Hf2SiH at its relaxed geometry.

Unit cell a=6.497 b=6.497 c=5.401 alpha=90.00 beta=90.00 gamma=90.00
Space group I4/mcm (No. 140)
Symmetry-distinct sites (fractional):
Hf (0.164, 0.336, 0.000) x8
Si (0.000, 0.000, 0.250) x4
H (0.000, 0.500, 0.250) x4

Summary:
M_tot in μB/cell: 0.00
Energy in eV/cell: -422.5

No. 6
DFT (meta-GGA r2SCAN) results for crystalline Ba3PuO6 at its relaxed geometry.

Unit cell a=9.091 b=9.091 c=9.091 alpha=90.00 beta=90.00 gamma=90.00
Space group Fm-3m (No. 225)
Symmetry-distinct sites (fractional):
Ba (0.000, 0.000, 0.000) x4
Ba (0.250, 0.250, 0.250) x8
Pu (0.000, 0.000, 0.500) x4
O (0.000, 0.000, 0.276) x24

Summary:
M_tot in μB/cell: 0.18
Energy in eV/cell: -921.1

Please write out number 6 again, unchanged.
DFT (meta-GGA r2SCAN) results for crystalline Ba3PuO6 at its relaxed geometry.

Unit cell a=9.091 b=9.091 c=9.091 alpha=90.00 beta=90.00 gamma=90.00
Space group Fm-3m (No. 225)
Symmetry-distinct sites (fractional):
Ba (0.000, 0.000, 0.000) x4
Ba (0.250, 0.250, 0.250) x8
Pu (0.000, 0.000, 0.500) x4
O (0.000, 0.000, 0.276) x24

Summary:
M_tot in μB/cell: 0.18
Energy in eV/cell: -921.1

> energy of number 1 (Sn3P2O8)?

-664.8 eV/cell

> Among the records above, which one has the highest M_tot?

Ba3PuO6

Please write out number 6 again, unchanged.
DFT (meta-GGA r2SCAN) results for crystalline Ba3PuO6 at its relaxed geometry.

Unit cell a=9.091 b=9.091 c=9.091 alpha=90.00 beta=90.00 gamma=90.00
Space group Fm-3m (No. 225)
Symmetry-distinct sites (fractional):
Ba (0.000, 0.000, 0.000) x4
Ba (0.250, 0.250, 0.250) x8
Pu (0.000, 0.000, 0.500) x4
O (0.000, 0.000, 0.276) x24

Summary:
M_tot in μB/cell: 0.18
Energy in eV/cell: -921.1

* * * * *

No. 1
Here is a relaxed Li2FeO3 crystal from the Materials Project database. Energies are from meta-GGA r2SCAN.

abc: 5.154 8.320 5.150
angles: 90.00 113.34 90.00
Fractional positions:
Li: 0.250 0.413 0.000
Li: 0.750 0.750 0.500
Li: 0.250 0.750 0.000
Li: 0.750 0.587 0.000
Li: 0.250 0.087 0.000
Li: 0.250 0.250 0.500
Li: 0.750 0.913 0.000
Li: 0.750 0.250 0.000
O: 0.487 0.429 0.731
*/

(Completed)
No. 1
DFT (meta-GGA r2SCAN) results for crystalline Sn3P2O8 at its relaxed geometry.

Unit cell a=11.111 b=4.846 c=16.414 alpha=90.00 beta=93.86 gamma=90.00
Space group P2_1/c (No. 14)
Symmetry-distinct sites (fractional):
Sn (0.021, 0.219, 0.363) x4
Sn (0.300, 0.744, 0.785) x4
Sn (0.355, 0.128, 0.538) x4
P (0.148, 0.693, 0.474) x4
P (0.478, 0.211, 0.852) x4
O (0.050, 0.675, 0.916) x4
O (0.125, 0.736, 0.564) x4
O (0.150, 0.118, 0.953) x4
O (0.274, 0.686, 0.960) x4
O (0.371, 0.158, 0.302) x4
O (0.400, 0.714, 0.179) x4
O (0.456, 0.602, 0.352) x4
O (0.486, 0.177, 0.441) x4

Summary:
M_tot in μB/cell: 0.00
Energy in eV/cell: -664.8

No. 2
DFT (meta-GGA r2SCAN) results for crystalline HoMg2Cu9 at its relaxed geometry.

Unit cell a=4.9438 b=4.9438 c=16.0527 alpha=90.00 beta=90.00 gamma=120.00
Space group P6_3/mmc (No. 194)
Symmetry-distinct sites (fractional):
Ho (0.3333, 0.6667, 0.2500) x2
Mg (0.3333, 0.6667, 0.0323) x4
Cu (0.0000, 0.0000, 0.0000) x2
Cu (0.0000, 0.0000, 0.2500) x2
Cu (0.1678, 0.3356, 0.6234) x12
Cu (0.3333, 0.6667, 0.7500) x2

Summary:
M_tot in μB/cell: 0.00
Energy in eV/cell: -281.8

No. 3
DFT (meta-GGA r2SCAN) results for crystalline CdPd3 at its relaxed geometry.

Unit cell a=4.008 b=4.008 c=7.957 alpha=90.00 beta=90.00 gamma=90.00
Space group I4/mmm (No. 139)
Symmetry-distinct sites (fractional):
Cd (0.000, 0.000, 0.000) x2
Pd (0.000, 0.000, 0.500) x2
Pd (0.000, 0.500, 0.250) x4

Summary:
M_tot in μB/cell: 0.00
Energy in eV/cell: -180.2

No. 4
DFT (meta-GGA r2SCAN) results for crystalline YbFeSi at its relaxed geometry.

Unit cell a=4.005 b=4.005 c=6.233 alpha=90.00 beta=90.00 gamma=90.00
Space group P4/nmm (No. 129, origin choice 2)
Symmetry-distinct sites (fractional):
Yb (0.250, 0.250, 0.189) x2
Fe (0.250, 0.750, 0.500) x2
Si (0.250, 0.250, 0.685) x2

Summary:
M_tot in μB/cell: 0.00
Energy in eV/cell: -122.7

No. 5
DFT (meta-GGA r2SCAN) results for crystalline Hf2SiH at its relaxed geometry.

Unit cell a=6.497 b=6.497 c=5.401 alpha=90.00 beta=90.00 gamma=90.00
Space group I4/mcm (No. 140)
Symmetry-distinct sites (fractional):
Hf (0.164, 0.336, 0.000) x8
Si (0.000, 0.000, 0.250) x4
H (0.000, 0.500, 0.250) x4

Summary:
M_tot in μB/cell: 0.00
Energy in eV/cell: -422.5

No. 6
DFT (meta-GGA r2SCAN) results for crystalline Ba3PuO6 at its relaxed geometry.

Unit cell a=9.091 b=9.091 c=9.091 alpha=90.00 beta=90.00 gamma=90.00
Space group Fm-3m (No. 225)
Symmetry-distinct sites (fractional):
Ba (0.000, 0.000, 0.000) x4
Ba (0.250, 0.250, 0.250) x8
Pu (0.000, 0.000, 0.500) x4
O (0.000, 0.000, 0.276) x24

Summary:
M_tot in μB/cell: 0.18
Energy in eV/cell: -921.1

Please write out number 6 again, unchanged.
DFT (meta-GGA r2SCAN) results for crystalline Ba3PuO6 at its relaxed geometry.

Unit cell a=9.091 b=9.091 c=9.091 alpha=90.00 beta=90.00 gamma=90.00
Space group Fm-3m (No. 225)
Symmetry-distinct sites (fractional):
Ba (0.000, 0.000, 0.000) x4
Ba (0.250, 0.250, 0.250) x8
Pu (0.000, 0.000, 0.500) x4
O (0.000, 0.000, 0.276) x24

Summary:
M_tot in μB/cell: 0.18
Energy in eV/cell: -921.1

> energy of number 1 (Sn3P2O8)?

-664.8 eV/cell

> Among the records above, which one has the highest M_tot?

Ba3PuO6

Please write out number 6 again, unchanged.
DFT (meta-GGA r2SCAN) results for crystalline Ba3PuO6 at its relaxed geometry.

Unit cell a=9.091 b=9.091 c=9.091 alpha=90.00 beta=90.00 gamma=90.00
Space group Fm-3m (No. 225)
Symmetry-distinct sites (fractional):
Ba (0.000, 0.000, 0.000) x4
Ba (0.250, 0.250, 0.250) x8
Pu (0.000, 0.000, 0.500) x4
O (0.000, 0.000, 0.276) x24

Summary:
M_tot in μB/cell: 0.18
Energy in eV/cell: -921.1

* * * * *

No. 1
Here is a relaxed Li2FeO3 crystal from the Materials Project database. Energies are from meta-GGA r2SCAN.

abc: 5.154 8.320 5.150
angles: 90.00 113.34 90.00
Fractional positions:
Li: 0.250 0.413 0.000
Li: 0.750 0.750 0.500
Li: 0.250 0.750 0.000
Li: 0.750 0.587 0.000
Li: 0.250 0.087 0.000
Li: 0.250 0.250 0.500
Li: 0.750 0.913 0.000
Li: 0.750 0.250 0.000
O: 0.487 0.429 0.731